Job:
Give back only the lines underneath with the word "low" in them.
Listing:
Record 1
# KCr2FeO8
Computed XRD peak list, λ = 1.5418 Å (Cu Kα). Input: a DFT-relaxed cell (GGA+U, the Materials Project).

Structural model:
Unit cell a=8.892 b=5.558 c=7.883 alpha=90.00 beta=93.90 gamma=90.00
Space group C2/m (No. 12)
One atom of each set of equivalent atoms:
K1 0.000 0.000 0.000 x2
Cr1 0.131 0.500 0.294 x4
Fe1 0.000 0.000 0.500 x2
O1 0.027 0.250 0.319 x8
O2 0.187 0.500 0.102 x4
O3 0.222 0.000 0.563 x4

The 6 most intense peaks (2θ = 10–90°), low angle first:
Position (°2θ)	d_spacing	intensity
11.25	7.864	81
21.64	4.106	84
22.34	3.979	73
23.69	3.756	61
29.05	3.073	100
34.35	2.611	63

=====

Record 2
# MgMn2Zn2O6
Computed XRD peak list, λ = 1.5418 Å (Cu Kα). Input: a DFT-relaxed cell (GGA+U, the Materials Project).

Structural model:
Unit cell a=5.2004 b=5.2004 c=15.1864 alpha=90.00 beta=90.00 gamma=120.00
Space group R-3 (No. 148, hexagonal axes)
One atom of each set of equivalent atoms:
Mg1 0.0000 0.0000 0.0000 x3
Mn1 0.0000 0.0000 0.3521 x6
Zn1 0.0000 0.0000 0.1713 x6
O1 0.0094 0.3583 0.4092 x18

The 6 most intense peaks (2θ = 10–90°), low angle first:
Position (°2θ)	d_spacing	intensity
22.96	3.874	42
30.80	2.903	34
34.49	2.600	95
35.65	2.518	22
50.31	1.814	100
61.80	1.501	38

=====

Record 3
# BaMgMnV2Ag2O8
Computed XRD peak list, λ = 1.5418 Å (Cu Kα). Input: a DFT-relaxed cell (GGA+U, the Materials Project).

Structural model:
Unit cell a=5.562 b=5.722 c=7.469 alpha=90.86 beta=93.28 gamma=111.04
Space group P1 (No. 1)
One atom of each set of equivalent atoms:
Ba1 0.000 0.000 0.000 x1
Mg1 0.573 0.943 0.556 x1
Mn1 0.109 0.078 0.469 x1
V1 0.404 0.660 0.233 x1
V2 0.676 0.401 0.770 x1
Ag1 0.222 0.564 0.762 x1
Ag2 0.807 0.435 0.316 x1
O1 0.238 0.779 0.403 x1
O2 0.304 0.327 0.270 x1
O3 0.361 0.774 0.021 x1
O4 0.373 0.129 0.694 x1
O5 0.687 0.708 0.708 x1
O6 0.740 0.877 0.325 x1
O7 0.772 0.382 0.994 x1
O8 0.875 0.267 0.618 x1

The 6 most intense peaks (2θ = 10–90°), low angle first:
Position (°2θ)	d_spacing	intensity
28.69	3.111	52
29.77	3.001	100
31.17	2.869	27
31.71	2.822	58
32.54	2.752	31
34.14	2.626	31

=====

Record 4
# Li3VPCO7
Computed XRD peak list, λ = 1.5418 Å (Cu Kα). Input: a DFT-relaxed cell (GGA+U, the Materials Project).

Structural model:
Unit cell a=9.779 b=6.513 c=9.669 alpha=90.00 beta=117.70 gamma=90.00
Space group P2_1/c (No. 14)
One atom of each set of equivalent atoms:
Li1 0.111 0.234 0.188 x4
Li2 0.289 0.022 0.519 x4
Li3 0.374 0.749 0.821 x4
V1 0.248 0.522 0.486 x4
P1 0.408 0.238 0.313 x4
C1 0.054 0.744 0.143 x4
O1 0.074 0.699 0.282 x4
O2 0.088 0.225 0.968 x4
O3 0.167 0.745 0.611 x4
O4 0.315 0.057 0.329 x4
O5 0.318 0.065 0.813 x4
O6 0.407 0.223 0.151 x4
O7 0.422 0.742 0.057 x4

The 6 most intense peaks (2θ = 10–90°), low angle first:
Position (°2θ)	d_spacing	intensity
17.11	5.184	100
22.76	3.908	55
24.69	3.605	46
24.89	3.577	40
25.40	3.506	65
34.46	2.602	91

=====

Record 5
# Li9Mn2Co5O16
Computed XRD peak list, λ = 1.5418 Å (Cu Kα). Input: a DFT-relaxed cell (GGA+U, the Materials Project).

Structural model:
Unit cell a=2.911 b=6.619 c=15.408 alpha=91.87 beta=92.18 gamma=102.53
Space group P-1 (No. 2)
One atom of each set of equivalent atoms:
Li1 0.000 0.000 0.000 x1
Li2 0.071 0.121 0.182 x2
Li3 0.187 0.375 0.563 x2
Li4 0.327 0.641 0.936 x2
Li5 0.436 0.877 0.314 x2
Mn1 0.387 0.762 0.122 x2
Co1 0.127 0.250 0.375 x2
Co2 0.241 0.502 0.751 x2
Co3 0.500 0.000 0.500 x1
O1 0.016 0.055 0.589 x2
O2 0.080 0.200 0.791 x2
O3 0.161 0.308 0.957 x2
O4 0.253 0.455 0.161 x2
O5 0.269 0.555 0.338 x2
O6 0.366 0.697 0.536 x2
O7 0.384 0.803 0.712 x2
O8 0.481 0.962 0.902 x2

The 6 most intense peaks (2θ = 10–90°), low angle first:
Position (°2θ)	d_spacing	intensity
18.31	4.846	100
35.55	2.525	15
42.75	2.115	30
43.18	2.095	28
44.41	2.040	26
64.01	1.455	15

=====

Record 6
# BeCo2O4
Computed XRD peak list, λ = 1.5418 Å (Cu Kα). Input: a DFT-relaxed cell (GGA+U, the Materials Project).

Structural model:
Unit cell a=7.735 b=7.735 c=7.735 alpha=90.00 beta=90.00 gamma=90.00
Worked solution:
The 6 most intense peaks (2θ = 10–90°), low angle first:
The 6 most intense peaks (2θ = 10–90°), low angle first:
The 6 most intense peaks (2θ = 10–90°), low angle first:
The 6 most intense peaks (2θ = 10–90°), low angle first:
The 6 most intense peaks (2θ = 10–90°), low angle first: